By Sarah Mellman, EKK Founder
The idea of Enchanted Kreature Kits (EKK) started at the very beginning of my reborning days. I started reborning in March 2011 under the name Enchanted Moments Nursery. As a “noob,” I had no idea where to find blank doll kits. I didn’t know that there were reborn doll supplies and kit dealers out there, so I found everything I started with on eBay. I was so excited to buy a lot of reborn dollmaking supplies for a hefty (to me) $100. It included three blank kits, a set of used paints, and a Bountiful Baby DVD tutorial on how to reborn. I watched the video three times before I was brave enough to paint my first one. My first attempt was on a Berenger play doll, and my son instantly fell in love with him.
As I watched it come to life using the steps demonstrated on the DVD, I fell totally and irrevocably in love with reborning. After my first store-bought baby-doll attempt, I turned to the first “real” reborn doll kit. It was the Aisha kit by Bountiful Baby. She was gorgeous to my new-to-reborning eyes. She was the first one I attempted to sell so I could afford to buy more kits. She was adopted by a hospice therapy worker who wanted her as a cuddle therapy doll for her patients. That spoke to my heart, since both of my parents used hospice during their final days with cancer. It made me feel that it was my calling to make these fantastic baby dolls.
The Search for Fantasy Kits
My third baby started as a Benjamin sculpt by Bountiful Baby, but I turned her into a little elfling baby with sculpted-on elf ears. In that first year of reborning, I made 27 reborns and turned nine into fantasy babies. As I learned and grew in my own skills (a lot harder to do back in the day because no one wanted to share tips and tutorials), I started looking for fantasy kits that didn’t need to be modified to make.
I found a few here and there, but they were really hard to find. Over time I became friends with several amazing sculptors. I would jokingly beg for them to sculpt a fantasy kit for us fantasy-loving reborners to paint. Every once in a while, there would be a new one here and there, but never anything with consistency.

• The piece is interrupted by materials data:
┌──
# SrGe2Cl6 | Alexandria via LeMat-Bulk | PBE | optimized geometry
data_SrGe2Cl6
_chemical_formula_sum 'Sr3 Ge6 Cl18'
_space_group_name_H-M_alt 'R 3'
_space_group_IT_number 146
_space_group_name_Hall 'R 3'
_cell_length_a 7.0467
_cell_length_b 7.0467
_cell_length_c 21.8269
_cell_angle_alpha 90.00
_cell_angle_beta 90.00
_cell_angle_gamma 120.00
loop_
_atom_site_label
_atom_site_type_symbol
_atom_site_fract_x
_atom_site_fract_y
_atom_site_fract_z
Sr1 Sr 0.0000 0.0000 0.0000
Ge1 Ge 0.0000 0.0000 0.6306
Ge2 Ge 0.0000 0.0000 0.7994
Cl1 Cl 0.0058 0.7075 0.7409
Cl2 Cl 0.0066 0.3956 0.2440
# V, A^3/atom: 34.76
# Energy relative to the elements, uncorrected, eV per atom: -1.32
# Relative energy among the computed polymorphs, meV per atom: 13.0
# Crystal system: trigonal

~~~~~

Below is crystalline RbDyGaSe3 at its relaxed geometry, with properties calculated at the PBE-GGA level.

Values from the calculation:
* space-group type: Cmcm (63)
* electronic total energy: -52.91 eV for the cell shown
* density: 4.95 g/cm3

Unit cell a=7.790 b=7.790 c=10.954 alpha=90.00 beta=90.00 gamma=145.98
Element x y z (fractional)
Se1 0.061 0.939 0.250
Se2 0.381 0.619 0.063
Se3 0.939 0.061 0.750
Se4 0.381 0.619 0.437
Se5 0.619 0.381 0.563
Se6 0.619 0.381 0.937
Ga1 0.517 0.483 0.750
Ga2 0.483 0.517 0.250
Dy1 0.000 0.000 0.000
Dy2 0.000 0.000 0.500
Rb1 0.747 0.253 0.250
Rb2 0.253 0.747 0.750

---

Below is crystalline RbDyGaSe3 at its relaxed geometry, with properties calculated at the PBE-GGA level.

Values from the calculation:
* space-group type: Pnma (62)
* electronic total energy: -105.80 eV for the cell shown
* density: 4.76 g/cm3

Unit cell a=15.312 b=4.597 c=10.996 alpha=90.00 beta=90.00 gamma=90.00
Element x y z (fractional)
Ga1 0.006 0.750 0.108
Ga2 0.506 0.750 0.392
Ga3 0.994 0.250 0.892
Ga4 0.494 0.250 0.608
Rb1 0.765 0.250 0.043
Rb2 0.265 0.250 0.457
Rb3 0.235 0.750 0.957
Rb4 0.735 0.750 0.543
Se1 0.076 0.250 0.113
Se2 0.622 0.250 0.752
Se3 0.592 0.750 0.082
Se4 0.378 0.750 0.248
Se5 0.408 0.250 0.918
Se6 0.576 0.250 0.387
Se7 0.878 0.750 0.252
Se8 0.092 0.750 0.418
Se9 0.924 0.750 0.887
Se10 0.122 0.250 0.748
Se11 0.424 0.750 0.613
Se12 0.908 0.250 0.582
Dy1 0.981 0.250 0.350
Dy2 0.481 0.250 0.150
Dy3 0.019 0.750 0.650
Dy4 0.519 0.750 0.850

---

Below is crystalline RbDyGaTe3 at its relaxed geometry, with properties calculated at the PBE-GGA level.

Values from the calculation:
* space-group type: Cmcm (63)
* electronic total energy: -47.38 eV for the cell shown
* density: 5.17 g/cm3

Unit cell a=8.334 b=8.334 c=11.744 alpha=90.00 beta=90.00 gamma=146.49
Element x y z (fractional)
Te1 0.877 0.123 0.057
Te2 0.123 0.877 0.557
Te3 0.123 0.877 0.943
Te4 0.438 0.562 0.750
Te5 0.877 0.123 0.443
Te6 0.562 0.438 0.250
Dy1 0.500 0.500 0.500
Dy2 0.500 0.500 0.000
Rb1 0.749 0.251 0.750
Rb2 0.251 0.749 0.250
Ga1 0.977 0.023 0.250
Ga2 0.023 0.977 0.750

---

Below is crystalline Dy4GaSbS9 at its relaxed geometry, with properties calculated at the PBE-GGA level.
└──
Two versions of Booth, sculpted by Jamie Lynn Powers.
Around the end of 2016, I decided I wanted to try to sculpt a fantasy kit. Perhaps it was my stubborn streak; if no one else would make them, then I would have to do it myself.
I had just moved to New York, and trying to unpack took a lot of time. I was also still struggling with a neck injury at the time from a car accident back in 2015. It was hard to use my hands and arms to soften the clay, and it often left my arms tingling with shooting pains for hours after trying to sculpt. But I worked on that sculpt any chance I got. Then in March 2017, I had to stop working on my sculpt because I had surgery on my neck to try to fix the damage caused by the car accident. It took four months before I had the strength to sculpt again. I had to have my children help work with the clay to soften it so I could work with it. It took another eight months after that to finish my first sculpt. I had to resculpt the wings three times before the factory was able to mold them. Finally, in March 2018, Draken, my dragon, was ready to head to the factory.
Launching Enchanted Kreature Kits
I count Aug. 1, 2018, as the day I first opened EKK, because that was when I opened preorders for Draken. Even though that first factory was a struggle to work with, it was a dream come true.
Through all this time, I had been pondering a plan for the beginnings of EKK. I knew I wasn’t a very good sculptor, and I also knew that producing doll kits are super expensive. So I needed a plan for producing the highest-quality fantasy kits without having to sculpt them all myself. In April 2018, while Draken was at the factory in the molding process, I finally plucked up the courage to contact my dear friend Cindy Musgrove about EKK.
She had a darling little Fawn sculpt on display at the ROSE Internationals Doll Expo in 2017. It was so stinking cute! I was watching and watching and watching for it to come out, but it never did (at that time). Finally, I decided to pluck up the courage to ask her if I could buy the rights to produce it with EKK. Sadly, I had waited too long; she had already sold it to Bountiful Baby for production. I still asked her about sculpting for EKK. She was intrigued and became excited as I explained what I wanted to do.
She asked what I’d like her to sculpt first, and I asked her to sculpt Manor Elves. I told her I wanted them to be similar to how House Elves are supposed to look. There was a significant pause on the phone before she asked, “What are House Elves?” She was not familiar with the story they are from, having never read the books or watched the movies. So I sent her pictures of what I could find and told her to make them not look anything like the book characters but make them unique looking using the general descriptions available to us. A few months later, at the 2018 ROSE show, she met me in the hallway and handed me a teeny tiny bundle with Beesley the baby Manor Elf in it. I cried ugly tears of joy! He was absolutely perfect!
After that show, Cindy sculpted Bipsey as a twin to Beesley and Tinky as a bigger sister Manor Elf, and all three were sent off in August 2018 to make their journey to a new factory. It was a much better experience, and all three were back only five months later as beautiful blank kits. Since then, I have continued working with my amazing “Queen of Fantasy” friend, Cindy Musgrove. She has sculpted 18 out of the 48 kits I currently have through the production process to date. We often joke that we must have played in the same enchanted sandbox in heaven before we came to earth.
EKK’s Vampling line is a popular, and extensive, series of kits by various sculptors:
Without Cindy Musgrove and my other outstanding sculptors — Sherri Williams, Melissa McCrory, Wendy Dickison, Pat Moulton, Lauren Jaimes, Jodie Lombardo, Jamie Lynn Powers, Dawn McLeod, Valerie Kruger, Doris Moyers Hornbogen, and a few others who are still working on sculpts for me — Enchanted Kreature Kits would not be as successful nor as desirable as it currently is if I had only relied on my own sculpting abilities, which are nothing to write home about.
Expanding the Business
Now that EKK has had a few years to mature, we have made 2022 the year to start growing EKK into the next phase of our business plan. It has been my goal to make Enchanted Kreature Kits more than just a place for fantasy kits. I have been trying to expand EKK into a company that produces high-end fantasy clothing and accessories in a product line I’ve named The Enchanted Wardrobe. I am constantly looking for top-of-the-line seamstresses, artists, and crafters to work with to bring this to pass. Additionally, I am working to provide a line of fantasy paint. My goal is to have it up and running around the summer of 2022.
In addition, some exciting changes are coming to EKK. We have decided it’s time to expand EKK from just fantasy kits and welcome in a line of human sculpts. To keep the same acronym, EKK, I have decided to call the human line of kits “Enchanted Kradle Kits.” In November 2021, the first of the Enchanted Kradle Kits headed off to the factory to start the production process. We are very excited about adding a human line and look forward to each and every little one, whether it be human or fantasy, we bring through the production process.
# Attached: data records
____________
VASP calculation (PBE+U) on crystalline Na2TiNiO4 at its relaxed geometry.

Properties
total magnetic moment = 2.00 μB per cell
D(E_F) = 0.0 states/eV/cell
uncorrected energy = -49.43 eV/cell
volume = 10.8 Å³/atom

The structure in POSCAR format:
```
Na2TiNiO4
1.0
5.2663 0.0000 0.0000
0.0000 3.0438 0.0000
-1.7643 0.0000 5.3839
Na Ti Ni O
2 1 1 4
direct
0.0000 0.0000 0.0000
____________
The Struggle Against Counterfeits
Unfortunately, like many other sculptors and producers in the doll world, EKK has had six of its kits stolen and illegally reproduced so far this year. It is beyond discouraging. After a lot of consideration, prayer, and talking with mentors and some loyal customers, I have decided that the biggest thing I can do to fight back against these pirated kits is to change how I sell my EKK kits. These changes will include:
• I will be adding new certifications to the Certificates of Authenticity (COAs) that will be harder to duplicate.
• As an incentive for artists to buy authentic EKK kits and not support the knockoffs, we will be transitioning to a new selling format and giving all customers dealer pricing on new release timeless or regular editions starting in 2022. Since I have to compete with my own stolen kits, I want there to be absolutely no reason why anyone would feel like they need to buy fake EKK kits. Sadly, this cannot be retroactive with earlier kits, because I have made commitments to the dealers who have purchased the early kits and cannot, in good conscience, drop prices and hurt their sales. But we are heading there with all future kits.
If it is successful, EKK will continue to grow. If not, there may be a time down the road that EKK decides to close up shop. So I’d like to ask all my Enchanted Kreature Kits and Enchanted Kradle Kits supporters to only buy authentic kits. We are at a pivotal point in the doll world with the “war” against the fake kits. I hope and pray that there will soon be a way to fight back against these pirating kit companies and get them shut down.
Lastly, EKK eagerly desires to support new and emerging fantasy and human reborning talents. We look forward to having prototype contests for fun new sculpts, host drawings and giveaways, and we look forward to going to both ROSE International Doll Expo 2022 and Kansas Doll Show 2022. Next year, 2023, we hope to join a few Comic-Cons and fantasy fests across the USA. I hope I get the chance to meet EKK supporters and build friendships wherever EKK takes us.